Entries:
<<<
This entry pairs a crystal structure of Cs3Ag2HgBr6 with its theoretical X-ray powder pattern. Radiation: λ = 1.5418 Å (Cu Kα). Structure: a cell relaxed with GGA-PBE.

Largest 10 diffraction maxima, by angle, 2θ = 10–90°:
- 7.424 Å, rel. 22, (1 0 0)
- 5.780 Å, rel. 21, (1 0 1)
- 4.286 Å, rel. 84, (1 1 0)
- 3.913 Å, rel. 56, (0 1 2)
- 3.443 Å, rel. 36, (0 2 1)
- 2.890 Å, rel. 100, (2 0 2)
- 2.837 Å, rel. 25, (0 1 3)
- 2.396 Å, rel. 35, (1 2 2)
- 2.143 Å, rel. 53, (2 2 0)
- 2.071 Å, rel. 22, (1 2 3)

Structural model:
```
data_Cs3Ag2HgBr6
_symmetry_space_group_name_H-M 'P -3 m 1'
_symmetry_Int_Tables_number 164
_symmetry_space_group_name_Hall '-P 3 2"'
_cell_length_a 8.5726
_cell_length_b 8.5726
_cell_length_c 9.2089
_cell_angle_alpha 90.00
_cell_angle_beta 90.00
_cell_angle_gamma 120.00
loop_
_atom_site_label
_atom_site_type_symbol
_atom_site_fract_x
_atom_site_fract_y
_atom_site_fract_z
Cs1 Cs 0.0000 0.0000 0.0000
Cs2 Cs 0.3333 0.6667 0.6297
Ag1 Ag 0.3333 0.6667 0.2284
Hg1 Hg 0.0000 0.0000 0.5000
Br1 Br 0.1628 0.3256 0.2927
```


V3P2O8: calculated powder X-ray diffraction pattern (Cu Kα, 1.54184 Å), based on a cell relaxed with PBE+U.
Intensities are scaled so that the largest is 100.

The 12 most intense peaks (15° ≤ 2θ ≤ 90°), by angle:
| 2theta | Rel. int. | index |
| --- | --- | --- |
| 22.2 | 74 | 1 0 2 |
| 24.8 | 100 | 1 1 1 |
| 29.1 | 38 | 2 0 0 |
| 31.1 | 58 | 0 1 3 |
| 34.3 | 93 | 1 1 -3 |
| 34.6 | 25 | 1 1 3 |
| 35.4 | 42 | 2 1 -1 |
| 35.7 | 38 | 2 1 1 |
| 49.1 | 20 | 1 1 5 |
| 50.6 | 31 | 2 2 -2 |
| 50.9 | 27 | 2 2 2 |
| 55.4 | 28 | 3 1 3 |

Cell and atoms:
a = 6.1414 Å, b = 4.8878 Å, c = 10.6648 Å
α = 90.00°, β = 90.88°, γ = 90.00°
Space group P2_1/c (No. 14)
Inequivalent atoms, fractional coordinates:
1 V 0.0000 0.0000 0.0000 [2 per cell]
2 V 0.2555 0.0097 0.7238 [4 per cell]
3 P 0.2469 0.5753 0.9030 [4 per cell]
4 O 0.0419 0.7295 0.8388 [4 per cell]
5 O 0.2258 0.2383 0.3953 [4 per cell]
6 O 0.2430 0.6826 0.0398 [4 per cell]
7 O 0.4406 0.6885 0.8279 [4 per cell]
>>>
Exercise:
It remains to quote the contents above from the line with "3.443 Å," to the end exactly.
Worked solution:
- 3.443 Å, rel. 36, (0 2 1)
- 2.890 Å, rel. 100, (2 0 2)
- 2.837 Å, rel. 25, (0 1 3)
- 2.396 Å, rel. 35, (1 2 2)
- 2.143 Å, rel. 53, (2 2 0)
- 2.071 Å, rel. 22, (1 2 3)

Structural model:
```
data_Cs3Ag2HgBr6
_symmetry_space_group_name_H-M 'P -3 m 1'
_symmetry_Int_Tables_number 164
_symmetry_space_group_name_Hall '-P 3 2"'
_cell_length_a 8.5726
_cell_length_b 8.5726
_cell_length_c 9.2089
_cell_angle_alpha 90.00
_cell_angle_beta 90.00
_cell_angle_gamma 120.00
loop_
_atom_site_label
_atom_site_type_symbol
_atom_site_fract_x
_atom_site_fract_y
_atom_site_fract_z
Cs1 Cs 0.0000 0.0000 0.0000
Cs2 Cs 0.3333 0.6667 0.6297
Ag1 Ag 0.3333 0.6667 0.2284
Hg1 Hg 0.0000 0.0000 0.5000
Br1 Br 0.1628 0.3256 0.2927
```


V3P2O8: calculated powder X-ray diffraction pattern (Cu Kα, 1.54184 Å), based on a cell relaxed with PBE+U.
Intensities are scaled so that the largest is 100.

The 12 most intense peaks (15° ≤ 2θ ≤ 90°), by angle:
| 2theta | Rel. int. | index |
| --- | --- | --- |
| 22.2 | 74 | 1 0 2 |
| 24.8 | 100 | 1 1 1 |
| 29.1 | 38 | 2 0 0 |
| 31.1 | 58 | 0 1 3 |
| 34.3 | 93 | 1 1 -3 |
| 34.6 | 25 | 1 1 3 |
| 35.4 | 42 | 2 1 -1 |
| 35.7 | 38 | 2 1 1 |
| 49.1 | 20 | 1 1 5 |
| 50.6 | 31 | 2 2 -2 |
| 50.9 | 27 | 2 2 2 |
| 55.4 | 28 | 3 1 3 |

Cell and atoms:
a = 6.1414 Å, b = 4.8878 Å, c = 10.6648 Å
α = 90.00°, β = 90.88°, γ = 90.00°
Space group P2_1/c (No. 14)
Inequivalent atoms, fractional coordinates:
1 V 0.0000 0.0000 0.0000 [2 per cell]
2 V 0.2555 0.0097 0.7238 [4 per cell]
3 P 0.2469 0.5753 0.9030 [4 per cell]
4 O 0.0419 0.7295 0.8388 [4 per cell]
5 O 0.2258 0.2383 0.3953 [4 per cell]
6 O 0.2430 0.6826 0.0398 [4 per cell]
7 O 0.4406 0.6885 0.8279 [4 per cell]